~~~
Computed powder XRD pattern of Y2NCl3 for λ = 1.5418 Å (Cu Kα), from a PBE-relaxed structure.
Lines closer than 0.1° are merged.

Structure:
```
Y2NCl3
1.0
8.239 -1.925 0.000
8.239 1.925 0.000
-5.682 0.000 9.169
Y N Cl
4 2 6
direct
0.084 0.084 0.456
0.363 0.363 0.208
0.637 0.637 0.792
0.916 0.916 0.544
0.076 0.076 0.657
0.924 0.924 0.343
0.167 0.167 0.013
0.280 0.280 0.386
0.454 0.454 0.750
0.546 0.546 0.250
0.720 0.720 0.614
0.833 0.833 0.987
```

Peak list (10 most intense, 2θ = 5–70°, most intense first)
2θ 11.15, intensity 100.0
2θ 27.15, intensity 60.6
2θ 9.65, intensity 48.6
2θ 28.76, intensity 44.4
2θ 33.11, intensity 41.6
2θ 34.29, intensity 37.3
2θ 45.14, intensity 28.1
2θ 33.61, intensity 27.3
2θ 35.98, intensity 27.0
2θ 38.06, intensity 21.0

***

Computed powder XRD pattern of Sm3Ni for λ = 1.5418 Å (Cu Kα), from a PBE-relaxed structure.
Lines closer than 0.1° are merged.

Structure:
```
Sm3Ni
1.0
6.919 0.000 0.000
0.000 9.771 0.000
0.000 0.000 6.402
Sm Ni
12 4
direct
0.034 0.250 0.138
0.179 0.065 0.678
0.179 0.435 0.678
0.321 0.565 0.178
0.321 0.935 0.178
0.466 0.750 0.638
0.534 0.250 0.362
0.679 0.065 0.822
0.679 0.435 0.822
0.821 0.565 0.322
0.821 0.935 0.322
0.966 0.750 0.862
0.109 0.750 0.436
0.391 0.250 0.936
0.609 0.750 0.064
0.891 0.250 0.564
```

Peak list (10 most intense, 2θ = 5–70°, most intense first)
2θ 30.79, intensity 100.0
2θ 32.14, intensity 40.4
2θ 31.69, intensity 33.1
2θ 34.72, intensity 31.8
2θ 33.47, intensity 29.6
2θ 56.75, intensity 29.6
2θ 41.63, intensity 15.0
2θ 48.36, intensity 14.0
2θ 52.98, intensity 13.7
2θ 58.97, intensity 13.6

***

Computed powder XRD pattern of Co2As for λ = 1.5418 Å (Cu Kα), from a PBE-relaxed structure.
Lines closer than 0.1° are merged.

Structure:
```
Co2As
1.0
3.916 0.000 0.000
-1.958 3.391 0.000
0.000 0.000 2.760
Co As
2 1
direct
0.000 0.000 0.000
0.333 0.667 0.500
0.667 0.333 0.000
```

Peak list (7 most intense, 2θ = 5–70°, most intense first)
2θ 42.21, intensity 100.0
2θ 46.38, intensity 87.1
2θ 64.50, intensity 26.4
2θ 57.73, intensity 13.4
2θ 32.43, intensity 12.0
2θ 67.91, intensity 8.7
2θ 26.28, intensity 2.3

* * * * *

1.
This entry pairs a crystal structure of Sr3Tl7In2 with its theoretical powder diffraction line list. Radiation: Cu Kα, 1.54184 Å. Structure: a cell relaxed with GGA-PBE.

Most intense lines, 10° ≤ 2θ ≤ 90°, in order of falling intensity:
29.1°, rel. 100.0
29.2°, rel. 86.1
35.4°, rel. 62.8
37.3°, rel. 54.4
52.3°, rel. 41.4
32.2°, rel. 37.9

Cell and atoms:
```
12
Lattice="5.078 0.000 0.000 0.000 4.823 0.000 -2.448 0.000 15.979" Properties=species:S:1:pos:R:3 pbc="T T T"
Sr 0.000 0.000 0.000
Sr 0.049 2.412 10.243
Sr 2.580 2.412 5.735
Tl 0.011 2.412 2.513
~~~

Next, restate the rows further up character by character.

Computed powder XRD pattern of Y2NCl3 for λ = 1.5418 Å (Cu Kα), from a PBE-relaxed structure.
Lines closer than 0.1° are merged.

Structure:
```
Y2NCl3
1.0
8.239 -1.925 0.000
8.239 1.925 0.000
-5.682 0.000 9.169
Y N Cl
4 2 6
direct
0.084 0.084 0.456
0.363 0.363 0.208
0.637 0.637 0.792
0.916 0.916 0.544
0.076 0.076 0.657
0.924 0.924 0.343
0.167 0.167 0.013
0.280 0.280 0.386
0.454 0.454 0.750
0.546 0.546 0.250
0.720 0.720 0.614
0.833 0.833 0.987
```

Peak list (10 most intense, 2θ = 5–70°, most intense first)
2θ 11.15, intensity 100.0
2θ 27.15, intensity 60.6
2θ 9.65, intensity 48.6
2θ 28.76, intensity 44.4
2θ 33.11, intensity 41.6
2θ 34.29, intensity 37.3
2θ 45.14, intensity 28.1
2θ 33.61, intensity 27.3
2θ 35.98, intensity 27.0
2θ 38.06, intensity 21.0

***

Computed powder XRD pattern of Sm3Ni for λ = 1.5418 Å (Cu Kα), from a PBE-relaxed structure.
Lines closer than 0.1° are merged.

Structure:
```
Sm3Ni
1.0
6.919 0.000 0.000
0.000 9.771 0.000
0.000 0.000 6.402
Sm Ni
12 4
direct
0.034 0.250 0.138
0.179 0.065 0.678
0.179 0.435 0.678
0.321 0.565 0.178
0.321 0.935 0.178
0.466 0.750 0.638
0.534 0.250 0.362
0.679 0.065 0.822
0.679 0.435 0.822
0.821 0.565 0.322
0.821 0.935 0.322
0.966 0.750 0.862
0.109 0.750 0.436
0.391 0.250 0.936
0.609 0.750 0.064
0.891 0.250 0.564
```

Peak list (10 most intense, 2θ = 5–70°, most intense first)
2θ 30.79, intensity 100.0
2θ 32.14, intensity 40.4
2θ 31.69, intensity 33.1
2θ 34.72, intensity 31.8
2θ 33.47, intensity 29.6
2θ 56.75, intensity 29.6
2θ 41.63, intensity 15.0
2θ 48.36, intensity 14.0
2θ 52.98, intensity 13.7
2θ 58.97, intensity 13.6

***

Computed powder XRD pattern of Co2As for λ = 1.5418 Å (Cu Kα), from a PBE-relaxed structure.
Lines closer than 0.1° are merged.

Structure:
```
Co2As
1.0
3.916 0.000 0.000
-1.958 3.391 0.000
0.000 0.000 2.760
Co As
2 1
direct
0.000 0.000 0.000
0.333 0.667 0.500
0.667 0.333 0.000
```

Peak list (7 most intense, 2θ = 5–70°, most intense first)
2θ 42.21, intensity 100.0
2θ 46.38, intensity 87.1
2θ 64.50, intensity 26.4
2θ 57.73, intensity 13.4
2θ 32.43, intensity 12.0
2θ 67.91, intensity 8.7
2θ 26.28, intensity 2.3

* * * * *

1.
This entry pairs a crystal structure of Sr3Tl7In2 with its theoretical powder diffraction line list. Radiation: Cu Kα, 1.54184 Å. Structure: a cell relaxed with GGA-PBE.

Most intense lines, 10° ≤ 2θ ≤ 90°, in order of falling intensity:
29.1°, rel. 100.0
29.2°, rel. 86.1
35.4°, rel. 62.8
37.3°, rel. 54.4
52.3°, rel. 41.4
32.2°, rel. 37.9

Cell and atoms:
```
12
Lattice="5.078 0.000 0.000 0.000 4.823 0.000 -2.448 0.000 15.979" Properties=species:S:1:pos:R:3 pbc="T T T"
Sr 0.000 0.000 0.000
Sr 0.049 2.412 10.243
Sr 2.580 2.412 5.735
Tl 0.011 2.412 2.513